Lucky to Survive

The Anvil Headquarters Main Lobby.

The wall in the lobby was covered with a thick layer of protectives, blocking most of the demons' attacks. But at this moment, the wall next to the main door exploded with a loud bang sending chunks of rubble scattering across the room.

The sound was deafening followed by the screeching sound of tyre against asphalt, causing everyone present to stumble backwards in surprise.

Smoke and dust filled the air as more and more debris flew into the air, accompanied by screams and cries of panic.

As they hurriedly ran towards their assigned positions, they spotted several groups of soldiers rushing through the smoke from the explosion, joining them.

"Where's Commander Yueh?!" One of the officers shouted as he panted heavily. The officer clutched onto his weapon tightly and scanned the room. There wasn't much time to spare before more demons arrive through the gap in the wall.

Luckily a few military trucks parked outside and a few soldiers were already running towards the hole, firing at the incoming demons.

Within the midst of soldiers, a large crowd of refugees was ushered into the building with no time to stop.

"Everyone get inside!" Lieutenant Nagrix barked as he grabbed a soldier's arm, "we don't have time to waste!"

The lieutenant ran towards the entrance doors with his men following behind him, shooting down any demons that dared approach them.

It was chaotic outside, with soldiers fighting furiously against the horde of demons stumbling towards them. Several Humvecs were stationed around the perimeter, providing cover fire whenever necessary.

They fired their guns relentlessly, mowing down countless demons with every shot. The stench of blood hung in the air, adding to the chaos.

Several soldiers rushed inside, pulling wounded soldiers along with them, leaving a trail of red footprints behind them. They quickly made their way to the first floor where they found more soldiers and refugees waiting for them.

Lieutenant Nagrix panted heavily, "Get these people to the basement! We'll take care of those bastards!"

The lieutenant turned and saw a group of ten or so soldiers stumbling towards them with their arms full of injured civilians. Some of them had broken bones, others had cuts and bruises.

The lieutenant bit his lip hard as he clenched his fists tight, trying not to let anger consume him.

"Sir," a soldier panted out as he approached him with his squad, "the Commander has ordered me to report to your location."

"Good," Lieutenant Nagrix panted as he wiped sweat from his brow. "Tell him that I need reinforcements."

"Unfortunately, there aren't enough soldiers left to provide support." The soldier panted nervously, "Even the Crusaders were fully deployed to around the perimeter."

Lieutenant Nagrix snorted in frustration, pausing briefly to catch his breath before speaking again, "Then I guess it's up to us."

"Hold it right there!" A voice boomed through the building. It sounded like a female human with an angry tone.

A few soldiers poked their heads out from nearby rooms, peering out from their hiding spots cautiously.

Lieutenant Nagrix smirked when he caught a glimpse of Captain Nerissa strolling into view.

She was covered from head to toe in mud and grime, her blonde hair matted together in several places, her face dirty and red-cheeked. Blood dripped down her chin from her nose which was bleeding profusely.

"Captain!" The lieutenant smiled wide, glad that he'd found her still alive after what happened earlier. "How did you survive that attack?"

"I was lucky… Anyway, it's too early to celebrate," her voice quivered with rage and grief. "A truck carrying refugee children crashed into a tree just a few blocks away from here." She paused for a moment.

The lieutenant's mouth gaped open, staring at her speechless, it couldn't be possible. They were all driving at full speed towards this building right here, how could it crash a few blocks away?

He didn't think that the explosive blow from the monster would've caused that sort of damage. Then it hit him - the demonic monster that attacked them earlier wasn't exactly normal either.

It was massive, bigger than anything that they had ever seen before. If he recalled correctly, it stood nearly thirty meters tall, maybe even more.

The captain continued talking, "Grand Marshal Varda is currently defending the truck from a herd of Hellhounds. General Garius is trying to secure the area outside before more demons arrive."

She paced forward, gripping her sword tightly. "I'm going to help the Grand Marshal."

Lieutenant Nagrix panted heavily, it seemed like she wasn't joking. The thought of racing out there into the midst of demons terrified him. "We'll come with you." He gulped hard as he spoke.

The captain nodded softly, "I know you will."

"Oh! I just remember something important!" The lieutenant said suddenly, snapping his fingers as he remembered why they needed reinforcements. He looked at each soldier before pointing at one of them.

"Go and reinforce the Humvec outside and get some Crusaders or better yet a Paladin at the gap by the door. We need to plug the hole and keep those demons out."

The soldier saluted and ran out immediately, disappearing into the smoky hallways while the rest of the squad joins the Humvec outside.

Crystal structures, kept here for reference:
____________
Below is a relaxed structure of CrB4, with properties calculated at the GGA-PBE level.

Geometry as extended XYZ:
```
5
Lattice="-1.426 2.375 2.744 1.426 -2.375 2.744 1.426 2.375 -2.744" Properties=species:S:1:pos:R:3 pbc="T T T"
B 0.000 0.927 1.878
Cr 0.000 0.000 0.000
B 0.000 0.927 3.610
B 1.426 1.447 0.866
B 1.426 1.447 -0.866
```

Summary:
As for the total energy: -7.5772 eV per atom. The value obtained for the mass density is 4.3 g cm⁻³. The distance to the lowest polymorph of the same formula comes out at 6 meV/atom. The calculation puts the formation energy at -29 kJ per mole of atoms.

=====

(1)
Compound: UTeP
Source: the Materials Project database
Functional: PBE-GGA
Structure: optimized geometry Values from VASP.

Structure (Quantum ESPRESSO input):
```
&SYSTEM
  ibrav = 0, nat = 12, ntyp = 3
/
ATOMIC_SPECIES
U 238.03 U.upf
Te 127.60 Te.upf
P 30.97 P.upf
CELL_PARAMETERS angstrom
4.086 0.000 0.000
0.000 4.086 0.000
0.000 0.000 16.832
ATOMIC_POSITIONS crystal
U 0.000 0.000 0.109
U 0.000 0.000 0.891
U 0.500 0.500 0.391
U 0.500 0.500 0.609
Te 0.000 0.000 0.316
Te 0.000 0.000 0.684
Te 0.500 0.500 0.184
Te 0.500 0.500 0.816
P 0.000 0.500 0.000
P 0.000 0.500 0.500
P 0.500 0.000 0.000
P 0.500 0.000 0.500
```

theoretical density: 9.38 g cm⁻³
E_form: -0.746 eV per atom
symmetry: I4/mmm (139)
final energy: -7.362 eV/atom


(2)
Compound: UTeP
Source: the Materials Project database
Functional: PBE-GGA
Structure: optimized geometry Values from VASP.

Structure (Quantum ESPRESSO input):
```
&SYSTEM
  ibrav = 0, nat = 12, ntyp = 3
/
ATOMIC_SPECIES
U 238.03 U.upf
Te 127.60 Te.upf
P 30.97 P.upf
CELL_PARAMETERS angstrom
4.154 0.000 0.000
0.000 21.702 0.000
-1.266 0.000 3.959
ATOMIC_POSITIONS crystal
U 0.000 0.083 0.000
U 0.000 0.917 0.000
U 0.500 0.417 0.000
U 0.500 0.583 0.000
Te 0.387 0.164 0.616
Te 0.387 0.836 0.616
Te 0.887 0.336 0.616
Te 0.887 0.664 0.616
P 0.001 0.500 0.995
P 0.465 0.500 0.483
P 0.501 0.000 0.995
P 0.965 0.000 0.483
```

theoretical density: 7.38 g cm⁻³
E_form: -0.589 eV per atom
symmetry: Cm (8)
final energy: -7.205 eV/atom


(3)
Compound: Zr2Te2P
Source: the Materials Project database
Functional: PBE-GGA
Structure: optimized geometry Values from VASP.

Structure (Quantum ESPRESSO input):
```
&SYSTEM
  ibrav = 0, nat = 15, ntyp = 3
/
ATOMIC_SPECIES
Zr 91.22 Zr.upf
Te 127.60 Te.upf
P 30.97 P.upf
CELL_PARAMETERS angstrom
3.853 0.000 0.000
-1.926 3.337 0.000
0.000 0.000 30.480
ATOMIC_POSITIONS crystal
Zr 0.000 0.000 0.120
Zr 0.000 0.000 0.880
Zr 0.333 0.667 0.547
Zr 0.333 0.667 0.786
Zr 0.667 0.333 0.214
Zr 0.667 0.333 0.453
Te 0.000 0.000 0.276
Te 0.000 0.000 0.724
Te 0.333 0.667 0.391
Te 0.333 0.667 0.943
Te 0.667 0.333 0.057
Te 0.667 0.333 0.609
P 0.000 0.000 0.500
P 0.333 0.667 0.167
P 0.667 0.333 0.833
```

theoretical density: 5.96 g cm⁻³
E_form: -1.116 eV per atom
symmetry: R-3m (166)
final energy: -6.875 eV/atom


(4)
Compound: ThP
Source: the Materials Project database
Functional: PBE-GGA
____________
Here the text continues:

Looks like the 'plan' kinda works out for us… Lieutenant Nagrix mused silently, hoping that things work out.

With most of the refugees moved into the deeper part of the building, he steered Captain Nerissa towards the stairwell leading to the basement.

"Where's Commander Yueh?" She asked.

"I don't know." He shrugged his shoulders helplessly. "He should be upstairs taking charge of the situation though."

"Alright, we'll find him when we get back." she panted loudly, wiping sweat from her brow with her sleeve.

They reached the bottom floor where underground hallways lead to the next block of buildings.

As they walked past several corridors, they came upon a number of soldiers scurrying about.

One of them panted excitedly as he strolled towards them, "Looks like they've managed to open the Portal!" He spoke in excitement.

"Finally…" Captain Nerissa panted as she stowed her sword at her waist. "We can finally move the refugees in."

"That's right," another soldier panted, holding his gun tightly in his hands, "Wait a minute, Captain! Lieutenant Nagrix!?"

They turned around and saw a familiar face, "Private Xiv? How're you still alive?"

The private grinned widely, "I'm just lucky. I came to visit the Department of Homeland Defense before this all happened. They had me on standby for a month to help with security and stuff. When the demons attacked, I was already inside."

Lieutenant Nagrix sighed in relief, "Glad to hear it. You've got the worst grades in the entire military school. You must've been really lucky to survive."

"Well, I wouldn't deny that. Are you guys going anywhere?"

Captain Nerissa shook her head, "Yes, we're going up to Block H where Grand Marshal Varda is fighting off the demons."

"Maybe you can join us, we'd like every luck we can get." Lieutenant Nagrix smiled.

Private Xiv smiled back, "I'll try my best. But I'll only join you after I deliver the message to Commander Yueh."

He jogged off to deliver his message to the commander. As for the captain and lieutenant, they ran down the passageway towards the stairs leading to Block H's basement level.